From some days before,Shuvo is absent minded and bad tempered.He feels in ear loaded,itching and damp.Black sweepings is secreting from using cotton bud.Very disgusting feelings.If friends see this condition,very shyness.
On the other hand,Pusmita,s mother is very tension of her little baby.From some days ago,she is saying,"pain feeling in ears".Something like damp papers is coming from ears when is cleaning the ears.Child,s ear must be examined by a doctor,think Puspita,s mother.Though the above problems are different according to place,time,and situation but these problems have created due to fungal infection.Which name is otomycosis.
Bangladesh is a six seasons country.Due to sun,moist,damp weather,fungal infection is very friendly situation in our country.Besides this,fungal infection becomes very easy if some one is affected by diabetes and deficiency of antibody power of body.
Fungal infection:who are liable?
Various types of fungal infection is found.Among them some looks black,some looks brown,some looks white and some are watery sticky paper.How do you know what type of fungus you have attacked or what type of infection you have?
1.Discomfort in ear
2.Pain in ear
3.Ear seems closing
4.Itching in ear
5.Low hearing in ear
6.Ear feels damp.Sometimes something liquid substance secretes.But this amount is not much.
What is found if once ear is tested:-
1.Looking normal condition from outside
2.Over infection can lead to skin infection
3.Fungus lump/clod can be found from ear hole to ear curtain which is 1 inch.
4.Liquid substance excretes from ear if bacterial infection occur.Even bad smell is found from liquid sweepings.Fungus lump/clod looks like black,brown,white or damp paper.
5.Ear curtain will be normal but sometimes it will be reddish depends on its severity.
Does any examination need?
What comes next are calculated crystals, not part of the page:
____________
Below is Tb3Pr4HoTe8 after structural relaxation, with properties calculated at the GGA-PBE level.

Values from the calculation:
Energy relative to the elements, uncorrected, eV/atom: -1.37

```
Tb3Pr4HoTe8
1.0
8.796 0.000 0.000
0.000 8.999 0.137
-4.398 -4.394 6.223
Pr Ho Te Tb
4 1 8 3
Direct
0.500 0.000 0.500 Pr
0.500 0.000 0.000 Pr
0.000 0.000 0.500 Pr
0.000 0.000 0.000 Pr
0.000 0.500 0.000 Ho
0.244 0.735 0.991 Te
0.244 0.735 0.489 Te
0.756 0.265 0.511 Te
0.745 0.736 0.491 Te
0.253 0.265 0.009 Te
0.756 0.265 0.009 Te
0.747 0.735 0.991 Te
0.255 0.264 0.509 Te
0.500 0.500 0.500 Tb
0.000 0.500 0.500 Tb
0.500 0.500 0.000 Tb
```

Below is B2C after structural relaxation, with properties calculated at the GGA-PBE level.

Values from the calculation:
Distance to the lowest polymorph of the same formula, meV/atom: 202
DFT formation energy, eV/atom: 0.387

```
B2C
1.0
1.377 4.247 -0.248
-1.377 4.247 -0.248
0.000 2.714 7.015
C B
4 8
Direct
0.509 0.509 0.873 C
0.835 0.835 0.688 C
0.143 0.143 0.533 C
0.974 0.974 0.512 C
0.017 0.017 0.968 B
0.269 0.269 0.326 B
0.655 0.655 0.657 B
0.476 0.476 0.357 B
0.907 0.907 0.231 B
0.720 0.720 0.188 B
0.123 0.123 0.143 B
0.374 0.374 0.775 B
```

~~~~~

(1)
8
Lattice="3.350 -3.350 0.000 3.350 3.350 0.000 0.000 0.000 5.145" Properties=species:S:1:pos:R:3 comment="LiCdPO PBE optimized geometry" e_tot_ev_per_atom=-3.57 pbc="T T T"
O 1.675 1.675 0.000
O 1.675 -1.675 0.000
P 0.000 0.000 2.608
P 3.351 0.000 2.537
Cd 0.000 0.000 0.036
Cd 3.351 0.000 5.109
Li 1.675 1.675 2.573
Li 1.675 -1.675 2.573



(2)
7
Lattice="-5.586 -1.007 -0.484 0.831 -3.428 -4.644 -1.806 -5.565 0.232" Properties=species:S:1:pos:R:3 comment="LiCdPS3O PBE optimized geometry" e_tot_ev_per_atom=-4.62 pbc="T T T"
S -3.548 -2.392 -0.550
S -5.680 -7.757 -4.037
S -3.059 -5.761 -1.981
Li -2.049 -2.507 -2.518
Cd -1.045 -8.943 -4.373
P -1.677 -5.446 -3.469
O -1.095 -4.012 -3.327



(3)
7
Lattice="5.383 0.000 0.000 -2.670 4.746 0.000 -2.549 -1.495 4.930" Properties=species:S:1:pos:R:3 comment="LiCdPS2O2 PBE optimized geometry" e_tot_ev_per_atom=-5.09 pbc="T T T"
O 0.755 1.587 3.466
O -1.497 0.356 3.691
S -1.944 3.728 2.135
S 3.123 0.699 0.403
Cd -2.432 -1.418 4.831
Li -2.773 1.525 2.806
P 0.048 0.218 3.620



(4)
7
Lattice="2.313 2.199 4.616 -3.300 -3.765 2.535 3.410 -1.908 -3.728" Properties=species:S:1:pos:R:3 comment="LiCdPS2O2 PBE optimized geometry" e_tot_ev_per_atom=-5.10 pbc="T T T"
Li 1.527 -1.401 1.829
Cd -1.536 -4.656 0.693
S 1.719 -3.882 1.446
S -0.947 -1.346 1.366
O 2.654 -1.078 0.254
O 1.182 -0.893 3.694
P 0.770 0.560 4.044
____________
1.Fungus samples should be collected from ear with great care by germ free methods;then it should be sent to laboratory for culture and sensitivity examination.
2.The patients who affect recurrence fungal infection,they should check amount of sugar in their blood.Because patients are more risky fungal infection of ear.
Now it is completed of diagnosis,it turns of treatment.
Treatment will be chosen how?or what treatment?
An ENT specialist will observe the total condition of the patient and he will hear patients history details,examination of ear etc.Then he makes to get fungus clod outside from ear.He makes dry the ear.
Then he has given fungal preventive drugs,drop,or ointment.Many types of medicines are found in market in many names and eventually ear will be cured.
Besides this,diabetes should be treated if associated with ear problem.After finishing medicinal course,to prevent of recurrence,should be re-consulted with doctor.If pain is appeared in ear,NSAID or pain killer should be swallowed.If infection occurred due to bacteria,antibiotic should be used carefully.Perfect medicines as well as anti-histamin should be selected to reduce itching.
Treatment should be accepted by a trained and experienced ENT specialist and should be followed up.Otherwise it may be caused any fetal condition.
What steps should be taken to prevent otomycosis:
1.Should be avoid poke of ear by stick of match,cotton bud,wing of hens,stick of sweeping,cap of pens etc
2.Should not be cleaned ear by someone.
3.Should not be bathed in contaminated water
4.Should not be bathed by diving in water
5.Should be controlled diabetes.
On the other hand,Pusmita,s mother is very tension of her little baby.From some days ago,she is saying,"pain feeling in ears".Something like damp papers is coming from ears when is cleaning the ears.Child,s ear must be examined by a doctor,think Puspita,s mother.Though the above problems are different according to place,time,and situation but these problems have created due to fungal infection.Which name is otomycosis.
Bangladesh is a six seasons country.Due to sun,moist,damp weather,fungal infection is very friendly situation in our country.Besides this,fungal infection becomes very easy if some one is affected by diabetes and deficiency of antibody power of body.
Fungal infection:who are liable?
Various types of fungal infection is found.Among them some looks black,some looks brown,some looks white and some are watery sticky paper.How do you know what type of fungus you have attacked or what type of infection you have?
1.Discomfort in ear
2.Pain in ear
3.Ear seems closing
4.Itching in ear
5.Low hearing in ear
6.Ear feels damp.Sometimes something liquid substance secretes.But this amount is not much.
What is found if once ear is tested:-
1.Looking normal condition from outside
2.Over infection can lead to skin infection
3.Fungus lump/clod can be found from ear hole to ear curtain which is 1 inch.
4.Liquid substance excretes from ear if bacterial infection occur.Even bad smell is found from liquid sweepings.Fungus lump/clod looks like black,brown,white or damp paper.
5.Ear curtain will be normal but sometimes it will be reddish depends on its severity.
Does any examination need?
1.Fungus samples should be collected from ear with great care by germ free methods;then it should be sent to laboratory for culture and sensitivity examination.
2.The patients who affect recurrence fungal infection,they should check amount of sugar in their blood.Because patients are more risky fungal infection of ear.
Now it is completed of diagnosis,it turns of treatment.
Treatment will be chosen how?or what treatment?
An ENT specialist will observe the total condition of the patient and he will hear patients history details,examination of ear etc.Then he makes to get fungus clod outside from ear.He makes dry the ear.
Then he has given fungal preventive drugs,drop,or ointment.Many types of medicines are found in market in many names and eventually ear will be cured.
Besides this,diabetes should be treated if associated with ear problem.After finishing medicinal course,to prevent of recurrence,should be re-consulted with doctor.If pain is appeared in ear,NSAID or pain killer should be swallowed.If infection occurred due to bacteria,antibiotic should be used carefully.Perfect medicines as well as anti-histamin should be selected to reduce itching.
Treatment should be accepted by a trained and experienced ENT specialist and should be followed up.Otherwise it may be caused any fetal condition.
What steps should be taken to prevent otomycosis:
1.Should be avoid poke of ear by stick of match,cotton bud,wing of hens,stick of sweeping,cap of pens etc
2.Should not be cleaned ear by someone.
3.Should not be bathed in contaminated water
4.Should not be bathed by diving in water
5.Should be controlled diabetes.